**Wanted**
Next, set down the lines underneath character by character.

**Contents**
-- begin --
Formula: C9H14Cl6F3NO3
Source: the Open Molecules 2025 dataset
Level of theory: the ωB97M-V functional and the def2-TZVPD basis

Last column: natural (NBO) charge in e.
Positions of all 36 atoms, in Å:
C -9.75 -6.04 -8.15  -0.649
C -10.21 -4.60 -7.85  -0.073
O -11.18 -4.49 -6.81  -0.507
C -12.49 -4.93 -6.96  0.694
O -13.00 -5.34 -7.97  -0.534
C -13.26 -5.08 -5.64  0.906
F -12.35 -5.38 -4.63  -0.319
F -13.81 -3.88 -5.36  -0.309
F -14.20 -5.96 -5.83  -0.277
H -10.47 -6.46 -8.85  0.223
H -9.65 -6.68 -7.27  0.218
H -8.81 -6.02 -8.71  0.225
H -10.68 -4.18 -8.74  0.192
H -9.41 -3.93 -7.54  0.200
Cl -12.91 -5.73 -11.76  -0.018
C -12.04 -7.34 -11.58  -0.254
Cl -12.56 -8.09 -10.04  0.022
Cl -10.28 -7.31 -11.85  0.031
H -12.49 -7.92 -12.39  0.226
Cl -8.67 -2.74 -4.85  0.022
C -8.00 -4.36 -4.78  -0.292
Cl -7.40 -4.72 -3.15  0.025
Cl -6.80 -4.57 -6.07  0.015
H -8.87 -5.00 -4.92  0.234
C -17.67 -9.11 -6.93  -0.428
N -17.24 -9.10 -5.51  -0.423
C -17.89 -10.03 -4.56  -0.420
C -16.65 -7.98 -5.09  0.520
O -16.47 -7.72 -3.89  -0.630
H -17.03 -8.68 -7.70  0.223
H -18.57 -8.49 -6.91  0.188
H -18.10 -10.07 -7.22  0.213
H -18.01 -11.00 -5.04  0.197
H -17.25 -10.12 -3.67  0.241
H -18.93 -9.84 -4.28  0.198
H -16.53 -7.26 -5.92  0.120

Properties
Strongest force on any atom in hartree/bohr: 0.063
LUMO level in hartree: 0.00925
Multiplicity: 1
HOMO in eV: -9.262
E in eV: -100478.6394
Energy above the lowest of the compared OMol25 structures with the same formula, charge and spin in kcal per mole: 0.4
-- stop --

**Completed**
Formula: C9H14Cl6F3NO3
Source: the Open Molecules 2025 dataset
Level of theory: the ωB97M-V functional and the def2-TZVPD basis

Last column: natural (NBO) charge in e.
Positions of all 36 atoms, in Å:
C -9.75 -6.04 -8.15  -0.649
C -10.21 -4.60 -7.85  -0.073
O -11.18 -4.49 -6.81  -0.507
C -12.49 -4.93 -6.96  0.694
O -13.00 -5.34 -7.97  -0.534
C -13.26 -5.08 -5.64  0.906
F -12.35 -5.38 -4.63  -0.319
F -13.81 -3.88 -5.36  -0.309
F -14.20 -5.96 -5.83  -0.277
H -10.47 -6.46 -8.85  0.223
H -9.65 -6.68 -7.27  0.218
H -8.81 -6.02 -8.71  0.225
H -10.68 -4.18 -8.74  0.192
H -9.41 -3.93 -7.54  0.200
Cl -12.91 -5.73 -11.76  -0.018
C -12.04 -7.34 -11.58  -0.254
Cl -12.56 -8.09 -10.04  0.022
Cl -10.28 -7.31 -11.85  0.031
H -12.49 -7.92 -12.39  0.226
Cl -8.67 -2.74 -4.85  0.022
C -8.00 -4.36 -4.78  -0.292
Cl -7.40 -4.72 -3.15  0.025
Cl -6.80 -4.57 -6.07  0.015
H -8.87 -5.00 -4.92  0.234
C -17.67 -9.11 -6.93  -0.428
N -17.24 -9.10 -5.51  -0.423
C -17.89 -10.03 -4.56  -0.420
C -16.65 -7.98 -5.09  0.520
O -16.47 -7.72 -3.89  -0.630
H -17.03 -8.68 -7.70  0.223
H -18.57 -8.49 -6.91  0.188
H -18.10 -10.07 -7.22  0.213
H -18.01 -11.00 -5.04  0.197
H -17.25 -10.12 -3.67  0.241
H -18.93 -9.84 -4.28  0.198
H -16.53 -7.26 -5.92  0.120

Properties
Strongest force on any atom in hartree/bohr: 0.063
LUMO level in hartree: 0.00925
Multiplicity: 1
HOMO in eV: -9.262
E in eV: -100478.6394
Energy above the lowest of the compared OMol25 structures with the same formula, charge and spin in kcal per mole: 0.4